Latest fromPersonal Finance

Financial expert savaged for terrible advice
An expert's advice on how much people should save wasn't very well received.

It's bollocks bagging millenials over housing problem
Comment: The next generation is adapting - which is what always happens.

Repairs under way on leaky Orewa apartment block
Leaky Orewa tower under repair after cladding similar to Grenfell Towers identified.

Cooking the Books: How to become an investor without losing your soul
Kiwis have shown they're fans of ethical investing, so how do you actually do it?

Default KiwiSaver investors missing out
The top performing KiwiSaver funds over 10 years are not the biggest funds.

New money comparison site
A new one-stop shop money comparison website has launched in New Zealand.

KiwiSaver funds not going far enough
KiwiSaver managers may not be doing enough when it is comes to responsible investment.

Super fund investment will spur digital growth
Fidelity Life will use the investment from the NZ Super fund to grow its digital business.

Would you make an insurance claim by chat-bot?
A start-up insurer wants to use chat-bot technology to speed up claims.

Job ads continue to trend upwards
Job listings are continuing to trend upwards according to the latest data from

Retiree spends $229k pension in six months
A UK retiree spent $229,000 pension in six months on a car, gambling and drink.

Millionaire's new goal: to live forever
Jim Mellon is putting his money into research that could help us live forever.

Inserted here: materials data =
=====
Entry 1:
# Sr7Pd4
Computed XRD peak list, CuKα. Input: a crystal structure in OQMD, relaxed with PBE.
Peak positions follow from Bragg's law for the DFT cell and can differ from measured ones.

Largest 12 diffraction maxima, low angle first, 2θ = 10–90°:
| two_theta | I/Imax |
| --- | --- |
| 20.91 | 316 |
| 27.37 | 586 |
| 28.54 | 535 |
| 30.46 | 562 |
| 31.37 | 426 |
| 31.58 | 1000 |
| 31.69 | 978 |
| 32.05 | 613 |
| 32.51 | 573 |
| 32.60 | 341 |
| 33.40 | 408 |
| 40.71 | 756 |

Structural model:
```
22
Lattice="9.3242 -2.2165 0.0000 9.3242 2.2165 0.0000 -4.6900 0.0000 17.0253" Properties=species:S:1:pos:R:3 pbc="T T T"
Sr 0.0000 0.0000 0.0000
Sr -2.9448 0.0000 11.5207
Sr 0.6971 0.0000 9.0902
Sr 2.1625 0.0000 5.3725
Sr 0.0682 0.0000 13.6331
Sr 6.2403 0.0000 0.4506
Sr 4.3080 0.0000 14.0659
Sr 6.9791 0.0000 8.5127
Sr 9.6503 0.0000 2.9594
Sr 7.7180 0.0000 16.5747
Sr 13.8901 0.0000 3.3923
Sr 11.7958 0.0000 11.6528
Sr 13.2612 0.0000 7.9351
Sr 16.9030 0.0000 5.5046
Pd -2.8515 0.0000 14.6584
Pd 2.6538 0.0000 2.0187
Pd 5.1878 0.0000 5.9249
Pd 4.2107 0.0000 10.3821
Pd 9.7476 0.0000 6.6432
Pd 8.7705 0.0000 11.1004
Pd 11.3045 0.0000 15.0066
Pd 16.8098 0.0000 2.3669
```

Entry 2:
# Sr2Pd
Computed XRD peak list, CuKα. Input: a crystal structure in OQMD, relaxed with PBE.
Peak positions follow from Bragg's law for the DFT cell and can differ from measured ones.

Largest 12 diffraction maxima, low angle first, 2θ = 10–90°:
| two_theta | I/Imax |
| --- | --- |
| 12.66 | 842 |
| 26.14 | 1000 |
| 27.18 | 245 |
| 27.74 | 448 |
| 33.23 | 271 |
| 34.02 | 236 |
| 36.48 | 260 |
| 41.03 | 746 |
| 43.11 | 236 |
| 46.60 | 232 |
| 49.30 | 173 |
| 68.55 | 329 |

Structural model:
```
12
Lattice="2.1999 1.2701 27.9765 -2.1999 1.2701 27.9765 0.0000 -2.5402 27.9765" Properties=species:S:1:pos:R:3 pbc="T T T"
Sr 0.0000 0.0000 5.3204
Sr 0.0000 0.0000 12.3254
Sr 0.0000 0.0000 19.3238
Sr 0.0000 0.0000 26.3126
Sr 0.0000 0.0000 57.6168
Sr 0.0000 0.0000 64.6056
Sr 0.0000 0.0000 71.6040
Sr 0.0000 0.0000 78.6090
Pd 0.0000 0.0000 0.0000
Pd 0.0000 0.0000 34.9651
Pd 0.0000 0.0000 41.9647
Pd 0.0000 0.0000 48.9643
```

Entry 3:
# Sr5Pd19
Computed XRD peak list, CuKα. Input: a crystal structure in OQMD, relaxed with PBE.
Peak positions follow from Bragg's law for the DFT cell and can differ from measured ones.

Largest 12 diffraction maxima, low angle first, 2θ = 10–90°:
| two_theta | I/Imax |
| --- | --- |
| 18.96 | 193 |
| 29.46 | 132 |
| 32.85 | 197 |
| 38.18 | 310 |
| 38.73 | 1000 |
| 40.55 | 299 |
| 42.20 | 276 |
| 43.38 | 172 |
| 44.70 | 113 |
| 62.59 | 243 |
| 68.87 | 241 |
| 83.09 | 216 |

Structural model:
```
48
Lattice="5.4532 0.0000 0.0000 -2.7266 4.7226 0.0000 0.0000 0.0000 35.5920" Properties=species:S:1:pos:R:3 pbc="T T T"
Sr 0.0000 3.1484 0.7519
Sr 0.0000 3.1484 4.6762
Sr 0.0000 3.1484 8.8980
Sr 0.0000 3.1484 13.1198
Sr 0.0000 3.1484 17.0441
Sr 2.7266 1.5742 18.5479
Sr 2.7266 1.5742 22.4722
Sr 2.7266 1.5742 26.6940
Sr 2.7266 1.5742 30.9158
Sr 2.7266 1.5742 34.8401
=====

Diana Clement: Are you in the best Kiwisaver fund?
Your KiwiSaver needs change over your lifetime and need regular reviewing

Mary Holm: Earn on your emergency fund
COMMENT: A buffer of three to six months of household expenses is recommended.

Man posing as tax agent sent to jail
'Opportunistic fraudster' jailed for four years for fraud and theft.

KiwiSaver contributions need to rise finds study
New Zealand's retirement income system has received a 'B' rating in a global study.

Tricks to paying off your mortgage in less than 10 years
Mum shares tips that do not involve being a millionaire or living off rations.

China's pension fund shopping for overseas investments
China's pension fun has $455b, and its looking for overseas investment.

# Here the entry breaks off for materials data
'''
# 1
Starting from a PBE-relaxed structure, the X-ray powder pattern of K2P2O5F2 was computed for Cu Ka.
Intensities are scaled so that the largest is 100.

abc: 7.5798 7.5798 7.3534
angles: 90.53 90.53 61.80
Element x y z (fractional)
K1 0.0036 0.7166 0.8583
K2 0.2834 0.9964 0.6417
K3 0.7166 0.0036 0.3583
K4 0.9964 0.2834 0.1417
P1 0.1973 0.6107 0.3534
P2 0.3893 0.8027 0.1466
P3 0.6107 0.1973 0.8534
P4 0.8027 0.3893 0.6466
O1 0.0418 0.6214 0.2205
O2 0.1351 0.7439 0.5175
O3 0.2561 0.8649 0.9825
O4 0.3786 0.9582 0.2795
O5 0.3820 0.6180 0.2500
O6 0.6180 0.3820 0.7500
O7 0.6214 0.0418 0.7205
O8 0.7439 0.1351 0.0175
O9 0.8649 0.2561 0.4825
O10 0.9582 0.3786 0.7795
F1 0.3211 0.3834 0.4189
F2 0.3834 0.3211 0.9189
F3 0.6166 0.6789 0.0811
F4 0.6789 0.6166 0.5811

Principal peaks in the range 15 to 90 degrees two-theta, by angle:
| d/Å | I_rel |
| --- | --- |
| 4.943 | 57 |
| 3.893 | 50 |
| 3.440 | 84 |
| 3.252 | 87 |
| 3.215 | 100 |
| 3.186 | 65 |
| 3.035 | 50 |
| 2.357 | 25 |
| 2.227 | 26 |
| 1.971 | 31 |

# 2
Starting from a PBE-relaxed structure, the X-ray powder pattern of K2Al2O3F2 was computed for Cu Ka.
Intensities are scaled so that the largest is 100.

abc: 7.0348 7.0348 6.2133
angles: 91.28 91.28 72.01
Element x y z (fractional)
K1 0.0989 0.0989 0.2421
K2 0.3372 0.3372 0.8369
K3 0.6628 0.6628 0.1631
K4 0.9011 0.9011 0.7579
Al1 0.1740 0.5746 0.3564
Al2 0.4254 0.8260 0.6436
Al3 0.5746 0.1740 0.3564
Al4 0.8260 0.4254 0.6436
O1 0.0000 0.5000 0.5000
O2 0.2379 0.7621 0.5000
O3 0.3752 0.3752 0.2674
O4 0.5000 0.0000 0.5000
O5 0.6248 0.6248 0.7326
O6 0.7621 0.2379 0.5000
F1 0.0541 0.6841 0.1168
F2 0.3159 0.9459 0.8832
F3 0.6841 0.0541 0.1168
F4 0.9459 0.3159 0.8832

Principal peaks in the range 15 to 90 degrees two-theta, by angle:
| d/Å | I_rel |
| --- | --- |
| 3.444 | 70 |
| 3.047 | 24 |
| 2.983 | 20 |
| 2.965 | 77 |
| 2.925 | 100 |
| 2.844 | 63 |
| 2.834 | 26 |
| 2.483 | 49 |
| 2.110 | 29 |
| 2.068 | 49 |

# 3
Starting from a PBE-relaxed structure, the X-ray powder pattern of CeTlInPb was computed for Cu Ka.
Intensities are scaled so that the largest is 100.

abc: 4.7073 4.7521 4.9737
angles: 90.00 90.00 90.00
Element x y z (fractional)
Ce1 0.0000 0.0000 0.0000
Tl1 0.5000 0.0000 0.5000
In1 0.0000 0.5000 0.5000
Pb1 0.5000 0.5000 0.0000

Principal peaks in the range 15 to 90 degrees two-theta, by angle:
| d/Å | I_rel |
| --- | --- |
| 2.775 | 100 |
| 2.487 | 19 |
| 2.376 | 16 |
| 2.354 | 16 |
| 1.718 | 12 |
| 1.709 | 12 |
| 1.485 | 15 |
| 1.437 | 14 |
| 1.427 | 13 |
| 1.388 | 12 |

~~~~~

Diffraction record for Pr5Al4. The XRD peak list is calculated, not measured: it uses a DFT-relaxed cell (PBE, Alexandria) and Cu Kα, 1.54184 Å.
Neutral-atom scattering factors, no anomalous dispersion.

```
data_Pr5Al4
_chemical_formula_sum 'Pr10 Al8'
_symmetry_space_group_name_H-M 'C 1 2/m 1'
_symmetry_Int_Tables_number 12
_cell_length_a 11.0643
_cell_length_b 4.9003
_cell_length_c 10.8306
_cell_angle_alpha 90.00
_cell_angle_beta 119.27
_cell_angle_gamma 90.00
'''

Diana Clement: It's all in contract, read it!
COMMENT: By not understanding a contract, we can lose millions.

Your call: Risky ride, or no ride at all
Investing is like riding in a car. Don't want any risk? Don't get into the vehicle.

What a Labour govt means for your money
Students, young families and low income workers are set to get more in the pocket.

Real estate agency boss fears 'Fortress NZ'
Controls over foreign ownership and slashing immigration will hurt NZ, says Geoff Barnett.

Do you have what it takes to be an entrepreneur?
Whether they're born or made, entrepreneurs have a special something, writes Darren White.

One in five renting households spends 40pc plus on housing
More than 40 per cent of their income goes to housing costs, Statistics NZ says.

Veritas fined $55k for not disclosing Nosh plan
Veritas has been publicly censured and fined $55k plus costs.

(What comes next are calculated crystals, not part of the page)
********
This entry pairs a crystal structure of CeCuO3 with its computed PXRD pattern. Radiation: Cu Kα (weighted mean of Kα1 and Kα2). Structure: a structure optimized by DFT (GGA-PBE).
No peak broadening, texture or thermal motion is included.

Crystal structure
Unit cell a=3.8329 b=3.8329 c=3.8329 alpha=90.00 beta=90.00 gamma=90.00
Positions (direct):
Ce 0.0000 0.0000 0.0000
Cu 0.5000 0.5000 0.5000
O 0.0000 0.5000 0.5000
O 0.5000 0.0000 0.5000
O 0.5000 0.5000 0.0000

Peak list (11 most intense, 10° ≤ 2θ ≤ 90°, low angle first)
- 3.833 Å, 2θ 23.21, rel. 88
- 2.710 Å, 2θ 33.05, rel. 1000
- 2.213 Å, 2θ 40.78, rel. 141
- 1.916 Å, 2θ 47.44, rel. 314
- 1.714 Å, 2θ 53.45, rel. 46
- 1.565 Å, 2θ 59.03, rel. 379
- 1.355 Å, 2θ 69.35, rel. 183
- 1.278 Å, 2θ 74.23, rel. 26
- 1.212 Å, 2θ 78.99, rel. 161
- 1.156 Å, 2θ 83.68, rel. 46
- 1.106 Å, 2θ 88.33, rel. 63


Record 1
For LaHfNi, a PBE-relaxed structure gives the theoretical powder diffraction line list in this record (Cu Kα (λ = 1.5418 Å)).
Peak positions follow from Bragg's law for the DFT cell and can differ from measured ones.

Peak list (10 most intense, 10 to 90 degrees two-theta, sorted by position)
two_theta, I (rel.)
31.1, 100
32.8, 52
33.6, 22
35.7, 36
37.3, 44
37.7, 22
39.1, 18
46.2, 19
54.0, 15
60.8, 21

Atomic structure:
```
LaHfNi
1.0
4.824 0.000 0.000
0.000 6.401 3.318
0.000 -6.401 3.318
La Hf Ni
3 3 3
Direct
0.000 0.000 0.000 La
0.000 0.220 0.612 La
0.000 0.612 0.220 La
0.500 0.356 0.356 Hf
0.500 0.632 0.892 Hf
0.500 0.892 0.632 Hf
0.000 0.568 0.568 Ni
0.500 0.310 0.967 Ni
0.500 0.967 0.310 Ni
```

=====

Record 2
For Cs3K8Li, a PBE-relaxed structure gives the theoretical powder diffraction line list in this record (Cu Kα (λ = 1.5418 Å)).
Peak positions follow from Bragg's law for the DFT cell and can differ from measured ones.

Peak list (10 most intense, 10 to 90 degrees two-theta, sorted by position)
two_theta, I (rel.)
16.4, 80
18.1, 26
20.3, 48
22.8, 98
23.9, 100
29.1, 27
30.7, 27
38.0, 41
41.3, 32
46.4, 30

Atomic structure:
```
Cs3K8Li
1.0
14.922 0.000 0.000
-7.461 12.923 0.000
0.000 0.000 9.791
Cs K Li
6 16 2
Direct
0.159 0.319 0.000 Cs
0.159 0.841 0.000 Cs
0.319 0.159 0.500 Cs
0.681 0.841 0.000 Cs
0.841 0.159 0.500 Cs
0.841 0.681 0.500 Cs
0.000 0.000 0.250 K
0.000 0.000 0.750 K
0.024 0.512 0.225 K
0.217 0.434 0.500 K
0.217 0.783 0.500 K
0.333 0.667 0.856 K
0.434 0.217 0.000 K
0.488 0.512 0.225 K
0.488 0.976 0.225 K
0.512 0.024 0.725 K
0.512 0.488 0.725 K
0.566 0.783 0.500 K
0.667 0.333 0.356 K
0.783 0.217 0.000 K
0.783 0.566 0.000 K
0.976 0.488 0.725 K
0.333 0.667 0.239 Li
0.667 0.333 0.739 Li
```

=====

Record 3
For YTiTlO4, a PBE-relaxed structure gives the theoretical powder diffraction line list in this record (Cu Kα (λ = 1.5418 Å)).
Peak positions follow from Bragg's law for the DFT cell and can differ from measured ones.

Peak list (10 most intense, 10 to 90 degrees two-theta, sorted by position)
two_theta, I (rel.)
21.3, 100
22.2, 40
22.5, 48
28.7, 68
29.0, 43
29.5, 57
33.5, 29
********

Why a capital gains tax would be good
A capital gains tax strikes fear into some people, but how would most of us be affected?